-- begin --
(1)
Below is RbPdN after structural relaxation, with properties calculated at the GGA-PBE level.

Summary:
- E_form (uncorrected) (eV/atom) = 0.006
- D(E_F) (states/eV/atom) = 0.18
- magnetization (μB per formula unit) = 0.0
- excess energy over the best structure of this formula in the dataset (meV per atom) = 0

Unit cell a=4.138 b=5.326 c=7.042 alpha=104.31 beta=107.00 gamma=90.12
Space group P-1 (No. 2)
Symmetry-distinct sites (fractional):
Rb (0.122, 0.414, 0.241)
Pd (0.318, 0.039, 0.638)
N (0.476, 0.076, 0.948)



(2)
Below is RbPd2N after structural relaxation, with properties calculated at the GGA-PBE level.

Summary:
- E_form (uncorrected) (eV/atom) = 0.154
- D(E_F) (states/eV/atom) = 0.31
- magnetization (μB per formula unit) = 0.0

Unit cell a=5.727 b=5.727 c=11.093 alpha=90.00 beta=90.00 gamma=90.00
Space group I4_1/amd (No. 141, origin choice 2)
Symmetry-distinct sites (fractional):
Rb (0.000, 0.250, 0.375)
Pd (0.000, 0.000, 0.000)
N (0.000, 0.250, 0.875)



(3)
Below is Rb2RePdN after structural relaxation, with properties calculated at the GGA-PBE level.

Summary:
- E_form (uncorrected) (eV/atom) = 1.320
- D(E_F) (states/eV/atom) = 0.48
- magnetization (μB per formula unit) = 4.3

Unit cell a=6.396 b=6.396 c=3.703 alpha=90.00 beta=90.00 gamma=90.00
Space group P4/mmm (No. 123)
Symmetry-distinct sites (fractional):
Rb (0.000, 0.500, 0.000)
Re (0.000, 0.000, 0.500)
Pd (0.500, 0.500, 0.500)
N (0.500, 0.500, 0.000)



(4)
Below is Rb2PdRhN after structural relaxation, with properties calculated at the GGA-PBE level.

Summary:
- E_form (uncorrected) (eV/atom) = 1.358
- D(E_F) (states/eV/atom) = 1.21
- magnetization (μB per formula unit) = 1.9

Unit cell a=6.521 b=6.521 c=4.740 alpha=90.00 beta=90.00 gamma=90.00
Space group P4/mmm (No. 123)
Symmetry-distinct sites (fractional):
Rb (0.000, 0.500, 0.000)
Pd (0.000, 0.000, 0.000)
Rh (0.000, 0.000, 0.500)
N (0.500, 0.500, 0.500)



(5)
Below is Rb2PdS2N after structural relaxation, with properties calculated at the GGA-PBE level.

Summary:
- E_form (uncorrected) (eV/atom) = 0.204
- D(E_F) (states/eV/atom) = 0.36
- magnetization (μB per formula unit) = 0.0

Unit cell a=7.072 b=12.233 c=6.265 alpha=90.00 beta=90.00 gamma=90.00
Space group Ibam (No. 72)
Symmetry-distinct sites (fractional):
Rb (0.121, 0.195, 0.000)
Pd (0.000, 0.500, 0.250)
S (0.238, 0.038, 0.500)
N (0.000, 0.000, 0.250)



(6)
Below is RbPdSN2 after structural relaxation, with properties calculated at the GGA-PBE level.

Summary:
- E_form (uncorrected) (eV/atom) = 2.580
- D(E_F) (states/eV/atom) = 1.00
- magnetization (μB per formula unit) = 7.0
- excess energy over the best structure of this formula in the dataset (meV per atom) = 1481

Unit cell a=5.181 b=5.181 c=6.178 alpha=90.00 beta=90.00 gamma=90.00
Space group P4/mmm (No. 123)
Symmetry-distinct sites (fractional):
Rb (0.000, 0.000, 0.000)
Pd (0.500, 0.500, 0.500)
S (0.000, 0.000, 0.500)
N (0.000, 0.500, 0.000)



(7)
Below is RbPdSN2 after structural relaxation, with properties calculated at the GGA-PBE level.

Summary:
- E_form (uncorrected) (eV/atom) = 1.099
- D(E_F) (states/eV/atom) = 0.57
- magnetization (μB per formula unit) = 3.9
- excess energy over the best structure of this formula in the dataset (meV per atom) = 0

Unit cell a=4.293 b=4.293 c=5.050 alpha=90.00 beta=90.00 gamma=90.00
Space group P4/mmm (No. 123)
Symmetry-distinct sites (fractional):
Rb (0.000, 0.000, 0.000)
Pd (0.500, 0.500, 0.500)
S (0.500, 0.500, 0.000)
N (0.000, 0.500, 0.500)



(8)
Below is RbSbPdN2 after structural relaxation, with properties calculated at the GGA-PBE level.

Summary:
- E_form (uncorrected) (eV/atom) = 2.547
- D(E_F) (states/eV/atom) = 1.12
- magnetization (μB per formula unit) = 0.0
- excess energy over the best structure of this formula in the dataset (meV per atom) = 1047

Unit cell a=4.483 b=4.483 c=5.191 alpha=90.00 beta=90.00 gamma=90.00
Space group P4/mmm (No. 123)
Symmetry-distinct sites (fractional):
Rb (0.000, 0.000, 0.000)
-- stop --

Find the line earlier on that holds "RbPdN after", then write out that line and all lines after it there.

Below is RbPdN after structural relaxation, with properties calculated at the GGA-PBE level.

Summary:
- E_form (uncorrected) (eV/atom) = 0.006
- D(E_F) (states/eV/atom) = 0.18
- magnetization (μB per formula unit) = 0.0
- excess energy over the best structure of this formula in the dataset (meV per atom) = 0

Unit cell a=4.138 b=5.326 c=7.042 alpha=104.31 beta=107.00 gamma=90.12
Space group P-1 (No. 2)
Symmetry-distinct sites (fractional):
Rb (0.122, 0.414, 0.241)
Pd (0.318, 0.039, 0.638)
N (0.476, 0.076, 0.948)



(2)
Below is RbPd2N after structural relaxation, with properties calculated at the GGA-PBE level.

Summary:
- E_form (uncorrected) (eV/atom) = 0.154
- D(E_F) (states/eV/atom) = 0.31
- magnetization (μB per formula unit) = 0.0

Unit cell a=5.727 b=5.727 c=11.093 alpha=90.00 beta=90.00 gamma=90.00
Space group I4_1/amd (No. 141, origin choice 2)
Symmetry-distinct sites (fractional):
Rb (0.000, 0.250, 0.375)
Pd (0.000, 0.000, 0.000)
N (0.000, 0.250, 0.875)



(3)
Below is Rb2RePdN after structural relaxation, with properties calculated at the GGA-PBE level.

Summary:
- E_form (uncorrected) (eV/atom) = 1.320
- D(E_F) (states/eV/atom) = 0.48
- magnetization (μB per formula unit) = 4.3

Unit cell a=6.396 b=6.396 c=3.703 alpha=90.00 beta=90.00 gamma=90.00
Space group P4/mmm (No. 123)
Symmetry-distinct sites (fractional):
Rb (0.000, 0.500, 0.000)
Re (0.000, 0.000, 0.500)
Pd (0.500, 0.500, 0.500)
N (0.500, 0.500, 0.000)



(4)
Below is Rb2PdRhN after structural relaxation, with properties calculated at the GGA-PBE level.

Summary:
- E_form (uncorrected) (eV/atom) = 1.358
- D(E_F) (states/eV/atom) = 1.21
- magnetization (μB per formula unit) = 1.9

Unit cell a=6.521 b=6.521 c=4.740 alpha=90.00 beta=90.00 gamma=90.00
Space group P4/mmm (No. 123)
Symmetry-distinct sites (fractional):
Rb (0.000, 0.500, 0.000)
Pd (0.000, 0.000, 0.000)
Rh (0.000, 0.000, 0.500)
N (0.500, 0.500, 0.500)



(5)
Below is Rb2PdS2N after structural relaxation, with properties calculated at the GGA-PBE level.

Summary:
- E_form (uncorrected) (eV/atom) = 0.204
- D(E_F) (states/eV/atom) = 0.36
- magnetization (μB per formula unit) = 0.0

Unit cell a=7.072 b=12.233 c=6.265 alpha=90.00 beta=90.00 gamma=90.00
Space group Ibam (No. 72)
Symmetry-distinct sites (fractional):
Rb (0.121, 0.195, 0.000)
Pd (0.000, 0.500, 0.250)
S (0.238, 0.038, 0.500)
N (0.000, 0.000, 0.250)



(6)
Below is RbPdSN2 after structural relaxation, with properties calculated at the GGA-PBE level.

Summary:
- E_form (uncorrected) (eV/atom) = 2.580
- D(E_F) (states/eV/atom) = 1.00
- magnetization (μB per formula unit) = 7.0
- excess energy over the best structure of this formula in the dataset (meV per atom) = 1481

Unit cell a=5.181 b=5.181 c=6.178 alpha=90.00 beta=90.00 gamma=90.00
Space group P4/mmm (No. 123)
Symmetry-distinct sites (fractional):
Rb (0.000, 0.000, 0.000)
Pd (0.500, 0.500, 0.500)
S (0.000, 0.000, 0.500)
N (0.000, 0.500, 0.000)



(7)
Below is RbPdSN2 after structural relaxation, with properties calculated at the GGA-PBE level.

Summary:
- E_form (uncorrected) (eV/atom) = 1.099
- D(E_F) (states/eV/atom) = 0.57
- magnetization (μB per formula unit) = 3.9
- excess energy over the best structure of this formula in the dataset (meV per atom) = 0

Unit cell a=4.293 b=4.293 c=5.050 alpha=90.00 beta=90.00 gamma=90.00
Space group P4/mmm (No. 123)
Symmetry-distinct sites (fractional):
Rb (0.000, 0.000, 0.000)
Pd (0.500, 0.500, 0.500)
S (0.500, 0.500, 0.000)
N (0.000, 0.500, 0.500)



(8)
Below is RbSbPdN2 after structural relaxation, with properties calculated at the GGA-PBE level.

Summary:
- E_form (uncorrected) (eV/atom) = 2.547
- D(E_F) (states/eV/atom) = 1.12
- magnetization (μB per formula unit) = 0.0
- excess energy over the best structure of this formula in the dataset (meV per atom) = 1047

Unit cell a=4.483 b=4.483 c=5.191 alpha=90.00 beta=90.00 gamma=90.00
Space group P4/mmm (No. 123)
Symmetry-distinct sites (fractional):
Rb (0.000, 0.000, 0.000)